Training Your Dog to Comfortably Wear a Muzzle

Why (and how) to condition your dog to comfortably wear a muzzle.


[Updated January 31, 2019]


1. Select the best muzzle for the task. Short sessions might call for a nylon muzzle, while more intensive work might require a basket muzzle.

2. Create a positive association to the muzzle before you need it.

3. If working with a behavior professional, veterinarian, etc. consider asking them ahead of time if she has a preference for the type of muzzle you use.

4. Don’t use a muzzle as a substitute for working on problem behaviors.

Long thought to be a sign of a “bad dog,” muzzles are more commonly seen today on ordinary pet dogs who are being proactively managed by a smart owner! But our guess is that many of our readers haven’t given a second thought to introducing a muzzle to their precious pooches. In reality, it would behoove all of us to consider purchasing a muzzle and familiarizing our dogs to it before we’re put into a situation of having to use one.

Why Get Your Dog A Muzzle?

Can’t imagine why your dog might need a muzzle? Consider the following:

Routine veterinary visit. Face it, some of our dogs just do not like to be handled. Bing, a Belgian Sheepdog belonging to Ali Brown, trainer and author of Scaredy Dog! and Focus Not Fear, doesn’t like people touching him. So she free-shaped him to accept (read: love) a nylon muzzle, and now he wears one for veterinary visits, chiropractic adjustments, and grooming appointments.

Medical emergency and/or emergency veterinary visit. No matter how sweet, a dog in pain can bite. A muzzle can be a lifesaver if your dog has a critical injury and needs medical help. Chances are good that the emergency vet staff might want to muzzle your dog. Two years ago when we thought that Axel, my large Bouvier, was bloating, the ER vet told us that he’d be muzzling Axel as a precaution during the exam. Although I wasn’t thrilled – Axel was a highly regarded therapy dog – I relented, putting myself in the shoes of the vet who was dealing with a “scary” large breed dog whom he didn’t know, and one who was possibly in a great amount of pain. (Note: no bloat!)

Dog Muzzle

Photo by Pete Smoyer

Grooming. Angela Duckett, who’s been grooming professionally for 15 years, with another 15 years under her belt as an assistant to a professional handler and breeder (as well as her mom!), has no objections to grooming a dog who requires a muzzle. “A few of my clients need one during the entire groom, while others need it just for things that don’t feel good (i.e., nails, ears),” she says. Muzzling a dog allows her to pay more attention to the dog and getting the groom right, rather than having to watch the dog’s face the whole time to see if he’s getting ready to nip.

Duckett differentiates between dogs who “argue” about being muzzled and those who panic. If the dog takes the muzzle and lets her touch him, she’ll proceed. But should a dog physically fight or become frantic when muzzled, she stops the session, calls the dog’s owner and recommends another avenue for grooming such as a mobile groomer, or the veterinarian.

Discouraging picking up, chewing, and eating of foreign objects. While better management and training (i.e., “Give,” “Drop it,” “Leave it”) are the preferred methods of dealing with a dog who picks up inappropriate foreign objects, a muzzle can come in handy if you’re trying to rule out ingestion of “stuff” as the cause of a medical problem.

For some time, my dog Axel was having blood in his stool. He also routinely picked up and chewed small wood chips and sticks while in the backyard, even under a close watch. Before making him submit to an invasive medical procedure (endoscopy), I wanted to rule out that his grazing wasn’t at the root of the problem. For a week or two, he wore a basket muzzle any time he was off-leash outside. This allowed him the freedom to move about without me breathing down his neck, while giving me peace of mind that he was not ingesting forbidden fruit. Pica was ruled out as a reason for his problem.

Traveling on public transportation. In some enlightened U.S. cities such as Boston, leashed dogs are allowed to travel on public transportation with their people. Depending on the locale, certain rules and regulations apply. In Europe, it is the rule, rather than the exception, to allow dogs on public transport. Some cities permit leashed dogs on public transportation without being muzzled, although some systems, such as the water taxis in Venice, Italy, require dogs to be muzzled during travel, or, at the least, that the dog’s owner carry a muzzle should it be required.

Certain introductions. A muzzle can provide an insurance policy in some unknown situations. For example, in the case of a dog who has killed cats, and is being considered by a potential adopter who already owns a small dog, a muzzle could be used to ensure the safety of the small dog during a carefully orchestrated “meet and greet.”

Dog Muzzle

WDJ training editor Pat Miller would consider the use of a muzzle on a dog-aggressive dog for meeting other dogs, but only after significant training and behavior modification work has progressed to the point that interaction might be appropriate. At that time, a well-desensitized muzzle might be called for as an extra precaution.

Aggression cases. If your dog is aggressive toward people and you are seeking the assistance of a behavior professional, s/he might require your dog to be muzzled during the consult.

For consults with the University of Georgia Veterinary Behavior Service, for example, Sharon Crowell-Davis, DVM, PhD, Diplomate American College of Veterinary Behaviorists, explains that, “Aggressive dogs that come to the behavior service and present a risk of injuring hospital personnel, other clients or other patients are required to wear a basket muzzle. Clients are given instructions on how to get a correctly fitted basket muzzle, which allows the dog to pant, bark, drink, and take treats offered through the basket muzzle. They are also educated in how to train their dog to readily accept the muzzle.”

While some trainers offer “growl” or reactive dog classes that require the participants (the dogs, that is!) to be muzzled, Pat Miller and Ali Brown both independently offer reactive dog classes and workshops, and are not fans of muzzling the dogs in class. Their sessions focus on working the dogs sub-threshold, getting them to be relaxed and calm and able to control their own behavior in the “reasonable” presence of other dogs; the intent is not to ask the dogs to interact with each other or to work super-threshold.

When Not to Put a Muzzle on Your Dog

Pat Miller warns that, with aggressive dogs, the purpose of a muzzle is not to give free rein to the dog and therefore repeatedly push the dog past his threshold, exposing the dog to stimuli that could and should be avoided. Likewise, Faye Owen of Animal Harmony, LLC, reminds us that “Any type of muzzle can be dislodged with a really intently aggressive dog or during an attack, so a muzzle should not be worn as a ยกยฎcure all’ for aggression.”

We have also seen advertisements advocating the use of muzzles to prevent or control barking and believe this to be an irresponsible use of a muzzle.

Types of Muzzles

== Inserted here: materials data ==
- - -
{"formula": "Nd8HoCd2", "functional": "PBE", "state": "relaxed", "e_form_ev_per_fu": 0.127, "magmom_total_mub_per_cell": 0.00, "n_ef_per_ev_cell": 13.686, "final_energy_ev_per_atom": -4.038, "lattice": [[5.751, -0.291, -0.437], [-1.376, 8.826, -0.746], [-1.376, -4.087, 7.858]], "species": ["Nd", "Nd", "Nd", "Nd", "Nd", "Nd", "Nd", "Nd", "Ho", "Cd", "Cd"], "frac_coords": [[0.889, 0.907, 0.683], [0.889, 0.683, 0.907], [0.298, 0.599, 0.599], [0.500, 0.780, 0.220], [0.500, 0.220, 0.780], [0.702, 0.401, 0.401], [0.111, 0.317, 0.093], [0.111, 0.093, 0.317], [0.500, 0.000, 0.000], [0.000, 0.306, 0.694], [0.000, 0.694, 0.306]]}

=====

{"formula": "Nd2Ho3Cd4", "functional": "PBE", "state": "relaxed", "e_form_ev_per_fu": -1.515, "magmom_total_mub_per_cell": 0.00, "n_ef_per_ev_cell": 16.120, "final_energy_ev_per_atom": -3.161, "lattice": [[6.824, 0.000, 0.000], [0.000, 8.229, 0.000], [-3.412, 0.000, 9.241]], "species": ["Nd", "Nd", "Nd", "Nd", "Ho", "Ho", "Ho", "Ho", "Ho", "Ho", "Cd", "Cd", "Cd", "Cd", "Cd", "Cd", "Cd", "Cd"], "frac_coords": [[0.093, 0.600, 0.185], [0.907, 0.400, 0.815], [0.407, 0.100, 0.815], [0.593, 0.900, 0.185], [0.000, 0.000, 0.000], [0.500, 0.500, 0.000], [0.504, 0.750, 0.508], [0.996, 0.250, 0.492], [0.496, 0.250, 0.492], [0.004, 0.750, 0.508], [0.675, 0.750, 0.850], [0.825, 0.250, 0.150], [0.325, 0.250, 0.150], [0.175, 0.750, 0.850], [0.163, 0.986, 0.326], [0.837, 0.014, 0.674], [0.337, 0.486, 0.674], [0.663, 0.514, 0.326]]}
- - -

We found muzzles ranging in price from a few dollars to more than a hundred, and from tiny, flimsy nylon muzzles to custom-made leather super-muzzles used for sport and police work. The type of muzzle you introduce to your dog will largely depend on how you plan to use it; our focus is on types suitable for pet dogs in the situations mentioned above. When purchasing a muzzle, fit, durability and comfort are the key determinants to making the right choice.

Cloth Muzzles

Cloth muzzles are typically very simple and usually made from nylon. They feature a band of fabric that envelopes the dog’s muzzle and two straps with a quick release that buckles up behind the dog’s ears. Offering a fairly snug fit, this is the type of muzzle most commonly used for handling issues, and is typically used by groomers and veterinarians for ease of use, comfort, light weight, and affordability.

Dog Muzzle

Dogs have limited ability to pant and cannot readily drink water while wearing this style of muzzle. They might be able to take treats, but not easily, so Samantha Fogg of Work + Play Positive Dog Training recommends using baby food in a syringe to administer food. Because the dog cannot pant very well in this style of muzzle, it is imperative not to leave it on the dog for prolonged periods of time.

We checked out the Kwik Klip Nylon Muzzle ($10), and the tongue-in-cheek Happy Muzzle ($20) made in the U.S. and sold by Dog in the City of San Francisco. The Kwik Klip, in basic black, is a standard nylon muzzle; it offered a rim of padding around the edge of the muzzle where it contacts the dog’s face. The Happy Muzzle is available in a variety of bright patterns, which make the muzzled dog look less threatening, reducing the Hannibal Lecter effect. It is manufactured from heavy duty Cordura, and is water resistant and machine washable. It offered a little more substantial padding around the nose and just felt like a more robust muzzle.

I did a “pant test” with my Bouviers, putting each muzzle on them after a walk while they were panting. Both muzzles pretty much closed their mouths, limiting them to breathing through their noses. I didn’t like that there was little to no air flow around the muzzle.

Someone pasted data records at this point:
'''
[1]
The following is a GGA-PBE calculation of crystalline YSiSe2 at its relaxed geometry, from Alexandria via LeMat-Bulk.

Unit cell a=4.0657 b=4.0657 c=6.8317 alpha=72.73 beta=72.73 gamma=60.95
Positions (direct):
1 Se 0.0048 0.0048 0.9802
2 Se 0.4952 0.4952 0.5198
3 Si 0.7500 0.7500 0.7500
4 Y 0.2500 0.2500 0.2500

## Properties
Formation energy (no corrections) (eV per formula unit): -2.8
Final energy (eV per formula unit): -21.7

***

[2]
The following is a GGA-PBE calculation of crystalline YSiRu2 at its relaxed geometry, from Alexandria via LeMat-Bulk.

Unit cell a=7.0483 b=7.0483 c=7.0483 alpha=29.06 beta=29.06 gamma=29.06
Positions (direct):
1 Ru 0.9752 0.9752 0.9752
2 Ru 0.5248 0.5248 0.5248
3 Si 0.2500 0.2500 0.2500
4 Y 0.7500 0.7500 0.7500

## Properties
Formation energy (no corrections) (eV per formula unit): -0.7
Final energy (eV per formula unit): -31.1

***

[3]
The following is a GGA-PBE calculation of crystalline NpBr3Cl2 at its relaxed geometry, from Alexandria via LeMat-Bulk.

Unit cell a=5.6386 b=8.1351 c=8.1352 alpha=57.30 beta=69.72 gamma=69.72
Positions (direct):
1 Np 0.7869 0.7131 0.7131
2 Br 0.2877 0.7123 0.7123
3 Br 0.9296 0.8085 0.3323
4 Br 0.9296 0.3323 0.8085
5 Cl 0.6545 0.6211 0.0699
6 Cl 0.6545 0.0699 0.6211

## Properties
Formation energy (no corrections) (eV per formula unit): -7.1
Final energy (eV per formula unit): -28.8

***

[4]
The following is a GGA-PBE calculation of crystalline Na2TlCuO2 at its relaxed geometry, from Alexandria via LeMat-Bulk.

Unit cell a=4.2006 b=4.2754 c=11.1907 alpha=90.00 beta=90.00 gamma=90.00
Positions (direct):
1 Na 0.5000 0.0799 0.2523
2 Na 0.0000 0.5799 0.2477
3 Na 0.5000 0.9201 0.7477
4 Na 0.0000 0.4201 0.7523
5 Tl 0.5000 0.5000 0.0000
6 Tl 0.0000 0.0000 0.5000
7 Cu 0.0000 0.0000 0.0000
8 Cu 0.5000 0.5000 0.5000
9 O 0.5000 0.5883 0.3412
10 O 0.5000 0.4117 0.6588
11 O 0.0000 0.9117 0.8412
12 O 0.0000 0.0883 0.1588

## Properties
Formation energy (no corrections) (eV per formula unit): -5.7
Final energy (eV per formula unit): -24.7

***

[5]
The following is a GGA-PBE calculation of crystalline Ba2Cd5Rh5 at its relaxed geometry, from Alexandria via LeMat-Bulk.

Unit cell a=4.4669 b=5.8405 c=10.0705 alpha=90.00 beta=90.00 gamma=90.00
Positions (direct):
1 Ba 0.0000 0.5000 0.0000
2 Ba 0.0000 0.0000 0.5000
3 Cd 0.0000 0.5000 0.3327
4 Cd 0.0000 0.0000 0.8190
5 Cd 0.0000 0.0000 0.1810
6 Cd 0.0000 0.5000 0.6673
7 Cd 0.5000 0.0000 0.0000
8 Rh 0.5000 0.5000 0.5000
9 Rh 0.5000 0.7565 0.2615
10 Rh 0.5000 0.2435 0.7385
11 Rh 0.5000 0.2435 0.2615
12 Rh 0.5000 0.7565 0.7385

## Properties
Final energy (eV per formula unit): -47.2
Energy of formation from the pure elements (eV/f.u.): -2.0

***

[6]
The following is a GGA-PBE calculation of crystalline TaCrAg2B at its relaxed geometry, from Alexandria via LeMat-Bulk.

Unit cell a=4.7402 b=3.7906 c=4.7402 alpha=90.00 beta=90.00 gamma=90.00
Positions (direct):
1 Cr 0.0000 0.0000 0.0000
2 B 0.0000 0.5000 0.0000
3 Ag 0.0000 0.0000 0.5000
'''

Happy Muzzle literature explains that, “Panting is a necessary way of self cooling, so while dogs can easily breathe and drink water with the muzzle on, the Happy Muzzle is meant to be worn for periods of time not to exceed 90 minutes, particularly in hot weather.” Happy Muzzle or not, I would be hesitant to leave this style of muzzle on a dog for an hour and a half. I could not easily slip treats into their mouths. Also, some dogs can still nip while wearing this style of muzzle.

For a nylon muzzle, details you’ll want to pay attention to include weight and strength of the material, stitching, how well the straps are attached, and the quality of the buckle. And, of course, the muzzle is only as good as the fit. Sizing for each is fairly straightforward; simply measure the widest part of the muzzle and find the closest size. Both models are available in eight sizes. My vote in a nylon muzzle, for a few extra dollars, is to go with a product such as the Happy Muzzle which appears to be more durable and well-made than a basic nylon model.

Two additional cloth muzzles to mention are the ProGuard Softie and Tuffie muzzles. These are made from a “patented DuPont fabric” (read: fancy nylon) and offer more coverage than a traditional nylon muzzle, almost mimicking a basket style muzzle.

On the Softie, mesh material covers the dog’s nose and mouth, while the front of the Tuffie is solid fabric, with mesh on the sides. It appears that this design attempts to combine the comfort of a soft muzzle with the coverage of a basket, and I suppose for some folks it works. My primary concern is lack of air flow, and I’d personally opt for a wire basket style in lieu of this one.

Basket Muzzles

Basket muzzles are just that: a wire or plastic catcher’s mask-like cage that fits over the dog’s muzzle, and has at least one strap that clasps behind the dog’s ears; some models also feature a forehead strap which extends from the muzzle, reaching over the dog’s forehead, attaching to the neck strap for a super-secure fit.

All of the trainers we queried favored the basket muzzle, though they admitted they tend to use nylon muzzles often in practice simply because of ease of use. It also appears that desensitization to a basket muzzle might take a little more time simply because of its size. Although veterinarians with whom I spoke typically use nylon muzzles in their practices, they are not averse to clients using basket muzzles.

Dog Muzzle

Basket muzzles better allows dogs to pant, more easily take treats (small ones work best), and drink water, and provide better ventilation than a nylon muzzle. For those reasons, the basket muzzle is favored for dog-dog interactions, although Samantha Fogg is quick to point out that a big dog in a basket muzzle can still damage a little dog just from the force of a muzzle punch, so precautions need to be taken.

The Italian Basket Muzzle retails for just under $20, depending on the size, and is favored for its lightweight and flexibility. The basket part is made from flexible polyethylene (plastic) while the adjustable buckle strap is leather. When I tried it out on my dogs, they could more easily pant, though still not a full on open mouth pant. Getting treats into their mouths was a little tricky, which is where the “small treat” part comes in to play, I suppose. The front of the muzzle features an extra removable grill; without it in place, treat delivery is a little less tedious.

Although the muzzle comes fairly high up on the bridge of the dog’s nose, just under the eyes, I can see how a really determined dog might be able to dislodge the muzzle, though it would take lots of work. There is a thin layer of leather that lies between where the muzzle hits the dog’s face and the muzzle. I imagine extra padding with something like moleskin might make for a more comfortable fit.

Some basket muzzles allow the user to thread the dog’s collar through the attachments for the neck strap for a more secure fit, but that is not possible on this model. There are a number of sizes available and a few measurements to take to get the right size. This model is not recommended for flat or pug nose breeds. I would use this for some applications, but probably not for a serious aggression case.

The Heavy Duty Wire Basket Muzzle is just that: heavy duty. The basket part of the muzzle is made from chrome wire, and the straps a little more substantial leather than those on the Italian basket model. The part of the muzzle that contacts the top of the dog’s muzzle is lined with a thick piece of leather, with additional padding under it. The #5 size that we tested weighed about 8 ounces, or about twice as much as the Italian Basket muzzle size 8.

The model we looked at came with a forehead strap. It would be much more difficult – though maybe not impossible – for an intent dog to dislodge the muzzle with a forehead strap attached.

Apparently not all sizes come with this strap; it appears that it’s used primarily on models for short-nosed breeds. Perhaps because my dogs are used to having hair on their faces, they easily accepted wearing this style of muzzle. A shorter haired breed might prove more sensitive to the extra weight, so proper desensitization is necessary.

I liked that this model seemed to have extra room in the basket for panting and air flow, and of course, room to take treats. This model retailed for $33 and is available in 17 sizes, based on length and circumference of the dog’s muzzle. This would be my choice for a more serious aggression case or for those instances when you really want peace of mind.

In terms of weight and sturdiness, mid-way between the Italian Basket and the Heavy Duty Wire Basket is the Plastic Coated Wire Basket Dog Muzzle. It is a little heftier than the Italian Basket, but less robust than the Heavy Duty Wire Basket, so not quite as heavy, and retails for about $22. I used this model when I was trying to keep Axel from ingesting foreign objects, and it worked well. The basket is a light-weight wire covered in plastic.

How to Condition a Positive Emotional Response to a Muzzle

Trainers often use the term “desensitization” when talking about introducing your dog to a new piece of equipment, such as a muzzle. In reality, when it’s something new, you’re conditioning your dog’s initial response to the new object. The desensitization procedure applies when your dog already has an association with the object — usually a negative one — and you’re working to change the association to positive.

Calculated crystals from another source follow >
********
[1]
# LuCdGaPt

A geometry-optimized LuCdGaPt structure (PBE-GGA, Alexandria).

a b c (Å): 4.779 4.779 4.779
angles (deg): 60.00 60.00 60.00
Element x y z (fractional)
Ga (0.000, 0.000, 0.000)
Cd (0.750, 0.750, 0.750)
Pt (0.500, 0.500, 0.500)
Lu (0.250, 0.250, 0.250)

As for the space group: No. 216. The crystal system is cubic. For the calculated total energy, the calculation gives -0.156 Ha/atom.

[2]
# Re3Pb

A geometry-optimized Re3Pb structure (PBE-GGA, Alexandria).

a b c (Å): 5.143 5.143 5.143
angles (deg): 90.00 90.00 90.00
Element x y z (fractional)
Re (0.750, 0.500, 0.000)
Re (0.500, 0.000, 0.250)
Re (0.500, 0.000, 0.750)
Re (0.000, 0.750, 0.500)
Re (0.000, 0.250, 0.500)
Re (0.250, 0.500, 0.000)
Pb (0.000, 0.000, 0.000)
Pb (0.500, 0.500, 0.500)

The polymorph energy (0 for the lowest one) is 522 meV/atom. As for the space group: No. 223. The crystal system is cubic.
********

It’s a lot easier (and wiser) to start by creating a positive association with a muzzle for your dog (or any other stimulus!) than it is to have to backtrack and create a new one. You’ll have the most success if you and your dog can make a game of it rather than getting all worried and serious. Be upbeat and cheerful rather than serious or worried, and encourage your dog to be playful as you do this.

Your goal is to convince your dog that “muzzle = good stuff!” You know how your dog’s eyes light up when you pick up her leash, her ball, or her favorite tug toy? That’s what you want to see when you pick up her muzzle. Feel free to incorporate the clicker to mark your dog’s behavior as soon as she starts offering deliberate muzzle-related behaviors.

Start by purchasing an appropriately-sized basket muzzle. Work with your dog, in several short sessions (5-15 minutes) throughout each day — the more short sessions, the better! Here are the steps of a sample conditioning protocol:

1. Hold up the muzzle, feed your dog a high value treat. Repeat this step until your dog brightens and looks for the treat when you hold up the muzzle.

2. Let your dog sniff the outside of the muzzle (or invite her to target to it) and feed a treat. Repeat until she’s happily offering to sniff’/target and then looking for her treat.

3. Invite her to sniff/target the edge of the muzzle opening. Feed a treat. Repeat until she’s happily offering to sniff/target, then looking for her treat.

4. Encourage her to put her nose into the muzzle opening by sticking a treat to the inside, near the opening. Repeat until she’s eagerly putting her nose into the opening, then gradually move the treat deeper into the muzzle, with numerous repetitions at each new increment, until she’s happy to put her nose all the way in.

5. Increase duration by feeding several treats each time while her nose is all the way in, gradually increasing delay between treats, until she’ll voluntarily hold her nose in the muzzle for 5-10 seconds waiting for the next click and treat.

6. While she’s holding her nose in the muzzle, clip the strap behind her head, click, treat, and release the strap. Gradually increase the length of time you leave the muzzle clipped on, with random reinforcement, and you’re done!

If at any time during the protocol your dog resists the muzzle, back up to a point where she’s happy again, and proceed more slowly. When you have completed the process and your dog is happy to wear her muzzle, be sure to play muzzle games with her from time to time to maintain the positive emotional response. If you put it on her only when she’s going to see the vet, you can poison the association you worked so hard to attain.

Before You Buy

With the exception of the Happy Muzzle, we bought the muzzles we tested at, but most pet supply stores and online retailers carry muzzles. To buy the basket muzzles we tested, see or call the business at (800) 575-1451. To buy the the Happy Muzzle, call (415) 861-4724 or see

Remember that flat or pug nose dogs require special sizing, and will even most likely do better with certain styles than others. If in doubt, consult with your trainer or veterinarian. If purchasing a muzzle to use at vet visits, ask your dog’s veterinarian first if s/he has a style preference.

And above all, use common sense when desensitizing and using a muzzle. Don’t keep it on your dog for extended periods of time, never leave one on an unsupervised dog, and don’t use it as an excuse to expose your dog to situations that you shouldn’t be placing him in.

Lisa Rodier lives in Alpharetta, Georgia, with her husband and two Bouviers. She is also a volunteer with the American Bouvier Rescue League.